== Job ==
Please print the entries further below from the first line to the one with "0.086 0.687" without additions.

== Listing ==
____________
Entry 1:
Here is an optimized crystal structure of Li5V3P8O29 from the Materials Project database. Energies are from PBE+U.

Cell: 9.788 9.804 14.151 Å, 90.08 90.22 119.87°
Positions (direct):
1 Li 0.000 0.000 0.000
2 Li 0.002 0.570 0.505
3 Li 0.135 0.143 0.507
4 Li 0.141 0.577 0.999
5 Li 0.234 0.335 0.119
6 Li 0.568 0.141 0.997
7 Li 0.573 0.006 0.506
8 Li 0.582 0.578 0.458
9 Li 0.862 0.222 0.061
10 Li 0.900 0.230 0.575
11 V 0.339 0.239 0.314
12 V 0.341 0.677 0.812
13 V 0.471 0.807 0.309
14 V 0.473 0.240 0.810
15 V 0.902 0.802 0.810
16 V 0.904 0.676 0.309
17 P 0.127 0.150 0.721
18 P 0.131 0.550 0.219
19 P 0.217 0.465 0.403
20 P 0.220 0.328 0.902
21 P 0.236 0.903 0.431
22 P 0.236 0.907 0.932
23 P 0.568 0.572 0.193
24 P 0.570 0.570 0.694
25 P 0.592 0.014 0.718
26 P 0.592 0.155 0.219
27 P 0.684 0.934 0.900
28 P 0.686 0.329 0.402
29 P 0.817 0.932 0.400
30 P 0.821 0.463 0.902
31 P 0.992 0.013 0.216
32 P 0.993 0.553 0.719
33 O 0.086 0.755 0.389
34 O 0.089 0.912 0.888
35 O 0.104 0.216 0.631
36 O 0.110 0.245 0.810
37 O 0.117 0.459 0.483
38 O 0.121 0.439 0.305
39 O 0.133 0.239 0.990
40 O 0.139 0.474 0.129
41 O 0.160 0.160 0.229
42 O 0.163 0.585 0.733
43 O 0.227 0.908 0.038
44 O 0.229 0.752 0.896
45 O 0.233 0.052 0.393
46 O 0.237 0.899 0.536
47 O 0.246 0.496 0.904
48 O 0.250 0.324 0.406
49 O 0.282 0.151 0.731
50 O 0.289 0.708 0.238
51 O 0.375 0.327 0.888
52 O 0.380 0.618 0.392
53 O 0.385 0.903 0.389
54 O 0.390 0.052 0.895
55 O 0.417 0.427 0.234
56 O 0.428 0.574 0.737
57 O 0.436 0.861 0.731
58 O 0.437 0.156 0.233
59 O 0.524 0.781 0.892
60 O 0.533 0.341 0.392
61 O 0.560 0.983 0.234
62 O 0.564 0.155 0.733
63 O 0.567 0.579 0.089
64 O 0.568 0.720 0.242
65 O 0.577 0.428 0.734
66 O 0.581 0.583 0.589
67 O 0.644 0.901 0.401
68 O 0.650 0.325 0.904
69 O 0.671 0.216 0.126
70 O 0.676 0.031 0.627
71 O 0.686 0.228 0.481
72 O 0.699 0.041 0.980
73 O 0.707 0.255 0.303
74 O 0.709 0.028 0.803
75 O 0.716 0.576 0.240
76 O 0.723 0.719 0.740
77 O 0.806 0.769 0.393
78 O 0.821 0.897 0.902
79 O 0.826 0.497 0.404
80 O 0.826 0.622 0.890
81 O 0.889 0.025 0.302
82 O 0.893 0.439 0.804
83 O 0.911 0.036 0.480
84 O 0.915 0.453 0.983
85 O 0.922 0.026 0.125
86 O 0.924 0.474 0.627
87 O 0.986 0.979 0.734
88 O 0.992 0.710 0.735
89 O 0.993 0.579 0.225
90 O 0.998 0.862 0.231

formation enthalpy at 0 K: -2.6154 eV per atom
ΔE to the lowest computed polymorph: 5.4 meV/atom
total energy after the MP2020 corrections: -7.584 eV per atom
symmetry: No. 1

Entry 2:
Here is an optimized crystal structure of Li7V3P8O29 from the Materials Project database. Energies are from PBE+U.

Cell: 9.805 9.805 13.835 Å, 90.14 90.14 60.06°
Positions (direct):
1 Li 0.000 0.000 0.000
2 Li 0.000 0.000 0.500
3 Li 0.101 0.663 0.061
4 Li 0.102 0.236 0.561
5 Li 0.236 0.102 0.061
6 Li 0.236 0.663 0.562
7 Li 0.337 0.764 0.938
8 Li 0.337 0.899 0.439
9 Li 0.663 0.101 0.561
10 Li 0.663 0.236 0.062
11 Li 0.764 0.337 0.438
12 Li 0.764 0.898 0.939
13 Li 0.898 0.764 0.439
14 Li 0.899 0.337 0.939
15 V 0.001 0.436 0.751
16 V 0.436 0.001 0.251
17 V 0.436 0.564 0.750
18 V 0.564 0.436 0.250
19 V 0.564 0.999 0.749
20 V 0.999 0.564 0.249
21 P 0.086 0.687 0.843
22 P 0.089 0.226 0.343
23 P 0.225 0.687 0.342
24 P 0.226 0.089 0.843
25 P 0.313 0.775 0.158
26 P 0.313 0.914 0.657
27 P 0.331 0.332 0.127
28 P 0.332 0.331 0.627
29 P 0.668 0.669 0.373
30 P 0.669 0.668 0.873
31 P 0.687 0.086 0.343
32 P 0.687 0.225 0.842
33 P 0.774 0.911 0.157
34 P 0.775 0.313 0.658
35 P 0.911 0.774 0.657
36 P 0.914 0.313 0.157
37 O 0.000 0.225 0.433
38 O 0.000 0.775 0.567
39 O 0.003 0.203 0.250
40 O 0.007 0.224 0.067
41 O 0.077 0.665 0.339
42 O 0.082 0.255 0.844
43 O 0.090 0.379 0.330
44 O 0.090 0.529 0.828
45 O 0.188 0.323 0.671
46 O 0.188 0.487 0.169
47 O 0.203 0.003 0.750
48 O 0.204 0.796 0.250
49 O 0.216 0.783 0.066
50 O 0.217 0.784 0.434
51 O 0.224 0.007 0.567
52 O 0.225 0.000 0.933
53 O 0.249 0.669 0.845
54 O 0.255 0.082 0.344
55 O 0.321 0.486 0.664
56 O 0.322 0.332 0.018
57 O 0.323 0.188 0.171
58 O 0.331 0.751 0.655
59 O 0.332 0.322 0.518
____________

== Here it is ==
Entry 1:
Here is an optimized crystal structure of Li5V3P8O29 from the Materials Project database. Energies are from PBE+U.

Cell: 9.788 9.804 14.151 Å, 90.08 90.22 119.87°
Positions (direct):
1 Li 0.000 0.000 0.000
2 Li 0.002 0.570 0.505
3 Li 0.135 0.143 0.507
4 Li 0.141 0.577 0.999
5 Li 0.234 0.335 0.119
6 Li 0.568 0.141 0.997
7 Li 0.573 0.006 0.506
8 Li 0.582 0.578 0.458
9 Li 0.862 0.222 0.061
10 Li 0.900 0.230 0.575
11 V 0.339 0.239 0.314
12 V 0.341 0.677 0.812
13 V 0.471 0.807 0.309
14 V 0.473 0.240 0.810
15 V 0.902 0.802 0.810
16 V 0.904 0.676 0.309
17 P 0.127 0.150 0.721
18 P 0.131 0.550 0.219
19 P 0.217 0.465 0.403
20 P 0.220 0.328 0.902
21 P 0.236 0.903 0.431
22 P 0.236 0.907 0.932
23 P 0.568 0.572 0.193
24 P 0.570 0.570 0.694
25 P 0.592 0.014 0.718
26 P 0.592 0.155 0.219
27 P 0.684 0.934 0.900
28 P 0.686 0.329 0.402
29 P 0.817 0.932 0.400
30 P 0.821 0.463 0.902
31 P 0.992 0.013 0.216
32 P 0.993 0.553 0.719
33 O 0.086 0.755 0.389
34 O 0.089 0.912 0.888
35 O 0.104 0.216 0.631
36 O 0.110 0.245 0.810
37 O 0.117 0.459 0.483
38 O 0.121 0.439 0.305
39 O 0.133 0.239 0.990
40 O 0.139 0.474 0.129
41 O 0.160 0.160 0.229
42 O 0.163 0.585 0.733
43 O 0.227 0.908 0.038
44 O 0.229 0.752 0.896
45 O 0.233 0.052 0.393
46 O 0.237 0.899 0.536
47 O 0.246 0.496 0.904
48 O 0.250 0.324 0.406
49 O 0.282 0.151 0.731
50 O 0.289 0.708 0.238
51 O 0.375 0.327 0.888
52 O 0.380 0.618 0.392
53 O 0.385 0.903 0.389
54 O 0.390 0.052 0.895
55 O 0.417 0.427 0.234
56 O 0.428 0.574 0.737
57 O 0.436 0.861 0.731
58 O 0.437 0.156 0.233
59 O 0.524 0.781 0.892
60 O 0.533 0.341 0.392
61 O 0.560 0.983 0.234
62 O 0.564 0.155 0.733
63 O 0.567 0.579 0.089
64 O 0.568 0.720 0.242
65 O 0.577 0.428 0.734
66 O 0.581 0.583 0.589
67 O 0.644 0.901 0.401
68 O 0.650 0.325 0.904
69 O 0.671 0.216 0.126
70 O 0.676 0.031 0.627
71 O 0.686 0.228 0.481
72 O 0.699 0.041 0.980
73 O 0.707 0.255 0.303
74 O 0.709 0.028 0.803
75 O 0.716 0.576 0.240
76 O 0.723 0.719 0.740
77 O 0.806 0.769 0.393
78 O 0.821 0.897 0.902
79 O 0.826 0.497 0.404
80 O 0.826 0.622 0.890
81 O 0.889 0.025 0.302
82 O 0.893 0.439 0.804
83 O 0.911 0.036 0.480
84 O 0.915 0.453 0.983
85 O 0.922 0.026 0.125
86 O 0.924 0.474 0.627
87 O 0.986 0.979 0.734
88 O 0.992 0.710 0.735
89 O 0.993 0.579 0.225
90 O 0.998 0.862 0.231

formation enthalpy at 0 K: -2.6154 eV per atom
ΔE to the lowest computed polymorph: 5.4 meV/atom
total energy after the MP2020 corrections: -7.584 eV per atom
symmetry: No. 1

Entry 2:
Here is an optimized crystal structure of Li7V3P8O29 from the Materials Project database. Energies are from PBE+U.

Cell: 9.805 9.805 13.835 Å, 90.14 90.14 60.06°
Positions (direct):
1 Li 0.000 0.000 0.000
2 Li 0.000 0.000 0.500
3 Li 0.101 0.663 0.061
4 Li 0.102 0.236 0.561
5 Li 0.236 0.102 0.061
6 Li 0.236 0.663 0.562
7 Li 0.337 0.764 0.938
8 Li 0.337 0.899 0.439
9 Li 0.663 0.101 0.561
10 Li 0.663 0.236 0.062
11 Li 0.764 0.337 0.438
12 Li 0.764 0.898 0.939
13 Li 0.898 0.764 0.439
14 Li 0.899 0.337 0.939
15 V 0.001 0.436 0.751
16 V 0.436 0.001 0.251
17 V 0.436 0.564 0.750
18 V 0.564 0.436 0.250
19 V 0.564 0.999 0.749
20 V 0.999 0.564 0.249
21 P 0.086 0.687 0.843